Martínez Font, Jacobo
INDEX Abbreviations III Acknowledgments V 1\. INTRODUCTION 1 1.1.
Contextualization of glycan and sialic acids 1 1.2. Sialic acids history and
definition 2 1.3. Differential features of the sialic acid family 3 1.4.
Sialic acids diversity 4 1.5. Sias general biological functions 5 1.6. Sias
recognition/antirecognition duality function 6 1.7. The biosynthetic pathway
of Sias in vertebrates 10 1.8. The UDP-GlcNAc-2-Epimerase/ManNAc Kinase
(GNE/MNK or GNE) 12 1.9. Alternative roles of GNE 14 1.10. GNE related
diseases 15 1.11. Previous available structural information on hGNE 16 1.12.
The MNK domain of GNE belongs to the ROK family 17 1.13. Starting point and
aims of this thesis 18 2\. MATERIALS 19 2.1. Instrumentation 19 2.2.
Crystallization 20 2.3. Chemicals buffers and media 21 2.4. Plasmids and
bacterial strains 22 2.5. Primers 22 2.6. Enzymes, kits and ladders 23 3\.
METHODS 24 3.1. Cloning 24 3.1.1. Polymerase chain reaction (PCR) 24 3.1.2.
Agarose gel DNA extraction 25 3.1.3. DNA digestion 25 3.1.4. DNA ligation 25
3.1.5. Preparation of chemically competent cells 25 3.1.6. Transformation
(Heat shock) 26 3.1.7. Colony PCR 26 3.1.8. Plasmid preparation 26 3.1.9. DNA
Sequencing 27 3.1.10. Clone and plasmid storage 27 3.1.11. In vitro DNA-
Mutagenesis 27 3.2. Protein expression and purification 28 3.2.1. Expression
test (small scale expression) 28 3.2.2. Pre-culture 28 3.2.3. Protein
overexpression 28 3.2.4. Cell disruption 29 3.2.5. Ultracentrifugation 29
3.2.6. Chromatographic purification 29 Ni-NTA affinity chromatography
29 Size exclusion chromatography 30 3.2.7. hMNK digestion with TEV or
Thrombin 30 3.3. General biochemical methods 30 3.3.1. Agarose gel
electrophoresis of DNA 30 3.3.2. Discontinuous denaturing sodium dodecyl
sulfate polyacrylamide gel electrophoresis (SDS-PAGE) of Proteins 31 3.3.3.
DNA concentration determination 32 3.3.4. Protein concentration determination
32 UV-absorption 32 Bradford test 32 3.4. Protein
characterization 33 3.4.1. Kinase activity test 33 3.4.2. Circular Dichroism
Spectroscopy (CD-Spectroscopy) 34 3.4.3. Isothermal Titration calorimetry
(ITC) 34 3.5. Crystallographic methods 35 3.5.1. Crystallization 35 3.5.2.
Soaking experiments 35 3.5.3. Data collection and processing 36 3.5.4. Solving
the phase problem 36 3.5.5. Model refinement and validation 36 3.5.6.
Structural comparison and picture preparation 37 3.6. Preparation of
6-O-Acetyl ManNAc 37 4\. RESULTS 38 4.1. Cloning and protein purification 38
4.2. Protein Characterization 40 4.2.1. Circular dichroism spectroscopy 40
4.2.2. Isothermal titration calorimetry (ITC) 42 4.2.3. Enzymatic activity and
specificity. 43 4.3. Crystal structure of the complex hMNK-ManNAc 44 4.3.1.
Crystal reproduction and soaking 44 4.3.2. Co-crystallization of the complex
hMNK-ManNAc 46 4.3.3. X-ray data collection and processing 46 4.3.4.
Determination of the hMNK-ManNAc structure 47 4.4. The overall structure of
the hMNK-ManNAc monomer 49 4.5. Multimeric state 49 4.6. Sequential and
structural homology search and family classification 51 4.7. hMNK requires
Zinc binding for structural stability and activity 54 4.8. The ManNAc binding
site 55 4.9. Domain movements upon ManNAc binding 57 4.10. Crystal structure
of the ternary complexes hMNK/ManNAc/ADP, hMNK/ManNAc-6P/ADP and
hMNK/ManNAc/AMPPCP 58 4.10.1. Soaking experiments 58 4.10.2. Structure
determination 58 4.11. The nucleotide binding site 60 4.12. The
MNK/ManNAc-6-P/ADP structure 62 4.13. The MNK/ManNAc/AMPPCP complex 65 4.14.
Surface representation and electrostatic potential 67 4.15. hMNK inhibition 69
5\. DISCUSSION 70 5.1. The catalytic mechanism 71 5.1.1. General
considerations (based on [117]) 71 5.1.2. Proposed catalytic mechamism for the
ManNAc kinase 74 D517 has a catalytic role in hMNK 74 The
phosphorylation of ManNAc proceeds by an associative SN2-like mechanism 75 hMNK is a magnesium dependent kinase 78 hMNK needs a
conformational rearrangement upon ManNAc binding for catalysis 79 5.2. hMNK
specificity 80 5.3. Structural Mapping of HIBM related mutations 82 5.4. The
search for an hMNK inhibitor 83 6\. SUMMARY 85 6\. ZUSAMMENFASSUNG 86 7\.
BIBLIOGRAPHY 87 Curriculum vitae 95
Sialic acids are essential components of membrane glycoconjugates. They are
responsible for the interaction, structure and functionality of all
deuterostome cells and have major functions in cellular processes and
diseases. The key enzyme of the biosynthesis of sialic acid is the
bifunctional UDP-N-acetylglucosamine-2-epimerase/N-acetylmannosamine kinase
(GNE) that transforms UDP-N-acetylglucosamine to
N-acetylmannosamine-6-phosphate and has a direct impact on the sialylation of
the cell surface. In this thesis three high resolution crystal structures of
the recombinant human acetylmannosamine kinase domain (hMNK) from GNE are
presented. hMNK converts N-acetylmannosamine to
N-acetylmannosamine-6-phosphate, a precursor of sialic acid, and has a direct
impact on the sialylation of the cell surface, which is of medical interest
because sialylation of tumor cell surface glycans is at a higher level than
that of healthy cells. The complexes formed by hMNK with its substrate
N-acetylmannosamine (ManNAc), with ManNAc and ADP, and with ManNAc-6-phosphate
and ADP, show structural details of reaction educt and product. hMNK belongs
to the ROK family of proteins, and this study presents the first human member
of this family in complex with its cognate substrate. The interactions between
hMNK and ManNAc explain the high substrate specificity of hMNK and suggest a
key active site residue, Asp517, that was mutated and shown to be crucial for
enzymatic activity. Since the structure of the complex formed between hMNK and
ManNAc also indicated the structural properties of a possible inhibitor, we
synthesized ManNAc-6-O-acetate that proved to be a modest inhibitor and may be
taken as lead for more potent inhibitors that could open novel ways for sialic
acid research, glycan bioengineering and cancer therapy.
Sialinsäuren (Sias) sind essentielle Komponenten der Membran-Glycokonjugate.
Sias sind zuständig für die Interaktion, Struktur und Funktionalität aller
Deuterostomia-Zellen und spielen eine wichtige Rolle bei zahlreichen
zellulären Prozessen und Krankheiten. Das Schlüsselenzym der
Sialinsäurebiosynthese ist die bifunktionelle
UDP-N-Acetylglukosamin-2-Epimerase/N-Acetylmannosamin Kinase (GNE), die
UDP-N-Acetylglucosamin in N-Acetylmannosamin-6-phosphate umwandelt und einen
direkten Impakt auf der Sialylierung der Zelloberfläche hat. Dies ist von
medizinischem Interesse, denn Tumorzellen weisen eine höhere Sialylierung der
Zelloberflächeglykane im Vergleich zu gesunden Zellen auf. In der vorliegenden
Dissertation, werden drei hochaufgelöste Kristallstrukturen der rekombinanten
menschlichen N-acetyl Mannosamine Kinase Domäne (hMNK) von GNE präsentiert.
hMNK wandelt N-Acetylmannosamin in N-Acetylmannosamin-6-Phosphat (eine
Vorläufersubstanz von Sias) um. Die Komplexe zwischen hMNK und ihrem
natürlichen Substrate N-Acetylmannosamin (ManNAc), zwischen hMNK, ManNAc und
ADP und zwischen hMNK, ManNAc-6-Phosphat and ADP zeigen strukturelle Details
von Reaktions-edukt und –produkt. hMNK gehört zur ROK Proteinfamilie und diese
Arbeit präsentiert die erste Struktur eines menschlichen Proteins dieser
Familie im Komplex mit seinem Substrat. Die Interaktionen zwischen hMNK und
ManNAc erklären die hohe Substratspezifität von hMNK und schlagen einen
aktiven Aminosäuren Rest vor, Asp517, der mutiert wurde und eine entscheidende
Rolle für die Katalyse zeigte. Da die Struktur des Komplexes hMNK/ManNAc die
strukturellen Eigenschaften von einem möglichen Inhibitor vorgeschlagen hatte,
wurde ManNAc-6-O-Acetat synthetisiert und zeigte eine schwache Inhibition.
Diese Verbindung kann daher genommen werden als Startpunkt für die Herstellung
These calculated crystals were left in the article by mistake:
+++
Entry 1:
Starting from a PBE-relaxed structure, the powder diffractogram of TbFeRu was calculated for a wavelength of 1.5418 Å.
Kinematic intensities with the Lorentz-polarization factor, no thermal factor.

Main lines, by angle (10° ≤ 2θ ≤ 90°):
d 2.627, I = 58; d 2.512, I = 38; d 2.383, I = 42; d 2.249, I = 100; d 2.216, I = 26; d 2.185, I = 25; d 1.517, I = 11; d 1.494, I = 15; d 1.465, I = 17; d 1.432, I = 23; d 1.363, I = 15; d 1.314, I = 22

Cell and atoms:
Cell lengths 13.404, 13.404, 13.404 Å; angles 22.61, 22.61, 22.61 degrees
Atoms (fractional coordinates):
1 Tb 0.041 0.041 0.041
2 Tb 0.180 0.180 0.180
3 Tb 0.264 0.264 0.264
4 Tb 0.736 0.736 0.736
5 Tb 0.820 0.820 0.820
6 Tb 0.959 0.959 0.959
7 Fe 0.216 0.724 0.724
8 Fe 0.276 0.276 0.784
9 Fe 0.276 0.784 0.276
10 Fe 0.724 0.216 0.724
11 Fe 0.724 0.724 0.216
12 Fe 0.784 0.276 0.276
13 Ru 0.000 0.500 0.500
14 Ru 0.392 0.392 0.392
15 Ru 0.500 0.000 0.500
16 Ru 0.500 0.500 0.000
17 Ru 0.500 0.500 0.500
18 Ru 0.608 0.608 0.608

Entry 2:
Starting from a PBE-relaxed structure, the powder diffractogram of NaTlH2 was calculated for a wavelength of 1.5418 Å.
Kinematic intensities with the Lorentz-polarization factor, no thermal factor.

Main lines, by angle (10° ≤ 2θ ≤ 90°):
d 6.347, I = 100; d 3.174, I = 32; d 2.987, I = 75; d 2.882, I = 53; d 2.553, I = 40; d 2.368, I = 42; d 2.022, I = 25; d 1.870, I = 15; d 1.746, I = 18; d 1.684, I = 20; d 1.611, I = 11; d 1.530, I = 23

Cell and atoms:
Cell lengths 6.660, 6.660, 6.660 Å; angles 30.40, 30.40, 30.40 degrees
Atoms (fractional coordinates):
1 Na 0.000 0.000 0.000
2 Tl 0.830 0.830 0.830
3 H 0.404 0.404 0.404
4 H 0.593 0.593 0.593

Entry 3:
Starting from a PBE-relaxed structure, the powder diffractogram of KVNiSe3 was calculated for a wavelength of 1.5418 Å.
Kinematic intensities with the Lorentz-polarization factor, no thermal factor.

Main lines, by angle (10° ≤ 2θ ≤ 90°):
d 7.652, I = 100; d 3.035, I = 23; d 2.880, I = 26; d 2.770, I = 9; d 2.754, I = 40; d 2.623, I = 18; d 2.373, I = 12; d 2.214, I = 15; d 2.082, I = 12; d 1.992, I = 23; d 1.803, I = 15; d 1.657, I = 16

Cell and atoms:
Cell lengths 8.527, 3.607, 9.635 Å; angles 90.00, 116.18, 90.00 degrees
Atoms (fractional coordinates):
1 K 0.012 0.250 0.265
2 K 0.988 0.750 0.735
3 V 0.468 0.250 0.176
4 V 0.532 0.750 0.824
5 Ni 0.479 0.750 0.392
6 Ni 0.521 0.250 0.608
7 Se 0.251 0.750 0.142
8 Se 0.323 0.750 0.555
9 Se 0.343 0.250 0.874
10 Se 0.657 0.750 0.126
11 Se 0.677 0.250 0.445
12 Se 0.749 0.250 0.858

Entry 4:
Starting from a PBE-relaxed structure, the powder diffractogram of MnBi3S was calculated for a wavelength of 1.5418 Å.
Kinematic intensities with the Lorentz-polarization factor, no thermal factor.

Main lines, by angle (10° ≤ 2θ ≤ 90°):
d 5.118, I = 41; d 3.619, I = 9; d 2.955, I = 100; d 2.559, I = 72; d 2.289, I = 22; d 1.809, I = 52; d 1.706, I = 11; d 1.543, I = 45; d 1.477, I = 18; d 1.279, I = 9; d 1.174, I = 20; d 1.144, I = 25

Cell and atoms:
+++
von neuen und besseren hMNK- Inhibitoren, die guten Alternativen, sowohl für
Sialinsäure Forschung, als auch für Glykan Bioengineering und die Krebs
Therapie bieten sollten.
IX, 95 S.
N-acetyl mannosamine kinase
Crystal structure
500 Naturwissenschaften und Mathematik::570 Biowissenschaften; Biologie::572 Biochemie
Structural and functional studies concerning human N-acetyl mannosamine kinase
Prof. Christoph Schalley
Prof. Ulrich Abram
Prof. Wolfram Saenger
Prof. Udo Heinemann
Struktur- und Funktionsuntersuchungen zur humanen N-Acetylmannosaminkinase
Biologie, Chemie, Pharmazie
open access